## Contents
'''
A gas-phase ion, C6H16INOP (charge +1) at a distorted geometry. Source: OMol25; level of theory: ωB97M-V/def2-TZVPD.

Calculated values
Charge: +1
E (Ha): -1006.94509
HOMO-LUMO gap (hartree): 0.34312

Cartesian coordinates (Å):
C1 1.835 -0.574 2.765
C2 1.608 0.419 -2.138
C3 -2.751 0.677 -0.993
C4 1.436 -1.512 1.582
C5 1.468 0.658 -0.691
C6 -2.849 -0.125 0.306
N1 -1.450 1.174 -1.171
O1 -0.322 -1.611 -0.587
P1 0.441 -0.646 0.172
I1 -1.241 0.611 1.641
H1 2.608 -0.927 3.382
H2 2.119 0.365 2.227
H3 1.089 -0.293 3.480
H4 1.365 1.340 -2.799
H5 2.525 -0.008 -2.329
H6 0.789 -0.382 -2.404
H7 -3.206 0.095 -1.795
H8 -3.495 1.505 -1.055
H9 0.795 -2.326 1.998
H10 2.327 -2.033 1.110
H11 1.142 1.675 -0.237
H12 2.437 0.563 -0.023
H13 -3.968 -0.019 0.678
H14 -2.369 -1.171 0.249
H15 -1.446 2.012 -1.721
H16 -0.888 0.532 -1.647


A molecular structure, C33H33IrN4O2S4. Source: OMol25; level of theory: ωB97M-V/def2-TZVPD.

Calculated values
Charge: +2
E (Ha): -3343.43839
HOMO-LUMO gap (hartree): 0.26601

Cartesian coordinates (Å):
Ir1 0.152 -0.276 0.382
C1 0.527 2.622 0.825
N1 -0.031 1.695 -0.215
C2 0.788 1.764 -1.463
C3 2.101 1.046 -1.229
C4 3.298 1.455 -1.775
C5 4.444 0.706 -1.519
C6 4.358 -0.410 -0.707
C7 3.128 -0.763 -0.176
N2 2.026 -0.061 -0.455
C8 -1.490 1.909 -0.415
C9 -2.276 1.199 0.667
C10 -3.511 1.623 1.106
C11 -4.201 0.841 2.027
C12 -3.630 -0.333 2.488
C13 -2.377 -0.694 2.023
N3 -1.730 0.056 1.131
C14 0.919 1.906 2.086
C15 1.294 2.580 3.230
C16 1.680 1.849 4.344
C17 1.676 0.465 4.280
C18 1.283 -0.152 3.110
N4 0.915 0.565 2.038
H1 -0.199 3.406 1.045
H2 1.410 3.113 0.412
H3 0.950 2.797 -1.779
H4 0.231 1.250 -2.249
H5 3.341 2.346 -2.387
H6 5.393 1.008 -1.941
H7 5.225 -1.012 -0.477
H8 2.998 -1.618 0.477
H9 -1.748 1.447 -1.367
H10 -1.740 2.970 -0.470
H11 -3.933 2.547 0.734
H12 -5.174 1.154 2.382
H13 -4.138 -0.964 3.203
H14 -1.863 -1.593 2.343
H15 1.288 3.662 3.248
H16 1.983 2.358 5.250
H17 1.970 -0.138 5.127
H18 1.244 -1.224 2.961
C19 -2.189 -0.611 -3.423
S1 -0.907 -1.570 -2.623
C20 -1.707 -3.157 -2.722
O1 -1.026 -1.205 -1.133
H19 -2.337 -1.009 -4.427
H20 -1.861 0.424 -3.505
H21 -3.106 -0.686 -2.839
H22 -1.692 -3.468 -3.767
H23 -2.728 -3.065 -2.352
H24 -1.135 -3.855 -2.115
O2 0.418 -2.098 1.221
C21 0.603 -3.452 0.894
C22 -0.672 -4.192 1.292
C23 -1.939 -3.877 0.892
C24 -2.911 -4.804 1.352
C25 -2.355 -5.807 2.088
S2 -0.665 -5.621 2.239
C26 1.784 -3.924 1.749
C27 1.882 -3.819 3.107
C28 3.111 -4.307 3.622
C29 3.930 -4.773 2.639
S3 3.211 -4.631 1.098
C30 0.903 -3.813 -0.569
C31 1.527 -3.127 -1.570
C32 1.698 -3.880 -2.765
C33 1.199 -5.140 -2.651
S4 0.520 -5.411 -1.109
H25 -2.150 -3.023 0.260
H26 -3.970 -4.734 1.150
H27 -2.853 -6.637 2.564
H28 1.077 -3.453 3.731
H29 3.367 -4.328 4.671
H30 4.909 -5.212 2.741
H31 1.859 -2.108 -1.482
H32 2.177 -3.502 -3.657
H33 1.201 -5.927 -3.388


8 unconnected molecules or ions with the total composition C28H42NO24 at a distorted geometry. Source: OMol25; level of theory: ωB97M-V/def2-TZVPD.

Calculated values
Charge: -1
E (Ha): -2952.29544
HOMO-LUMO gap (hartree): 0.34475

Cartesian coordinates (Å):
N1 0.468 0.370 0.179
O1 1.126 -0.697 0.114
O2 0.552 1.047 1.231
O3 -0.618 0.310 -0.459
C1 -2.579 1.882 1.645
C2 -4.106 1.740 1.286
C3 -4.451 0.874 0.127
O4 -5.178 -0.182 0.723
C4 -5.293 -0.056 1.986
O5 -5.842 -0.785 2.889
O6 -4.718 1.079 2.318
H1 -2.431 2.360 2.652
H2 -1.977 2.374 0.952
H3 -1.981 0.936 1.679
H4 -4.608 2.857 1.272
H5 -3.445 0.385 -0.248
H6 -4.987 1.443 -0.513
C5 -0.060 3.363 3.861
C6 -0.635 2.371 4.756
C7 -0.024 0.968 4.387
O7 0.758 0.610 5.549
C8 0.639 1.458 6.517
O8 1.098 1.349 7.543
O9 -0.159 2.509 6.128
H7 1.072 3.369 3.795
H8 -0.287 4.487 4.150
H9 -0.478 3.463 2.947
H10 -1.800 2.495 4.622
H11 0.731 0.871 3.423
H12 -0.556 0.269 4.008
C9 -0.439 -3.536 -1.210
C10 -1.459 -3.399 -0.089
C11 -2.424 -2.234 -0.349
O10 -3.691 -2.888 -0.211
C12 -3.637 -4.141 -0.173
O11 -4.679 -4.762 -0.117
O12 -2.339 -4.541 -0.005
H13 -0.064 -2.411 -1.437
H14 -0.792 -3.673 -2.307
H15 0.167 -4.457 -0.738
H16 -0.878 -3.329 0.991
'''

## Work order
Please echo everything further up character by character.

## Worked solution
A gas-phase ion, C6H16INOP (charge +1) at a distorted geometry. Source: OMol25; level of theory: ωB97M-V/def2-TZVPD.

Calculated values
Charge: +1
E (Ha): -1006.94509
HOMO-LUMO gap (hartree): 0.34312

Cartesian coordinates (Å):
C1 1.835 -0.574 2.765
C2 1.608 0.419 -2.138
C3 -2.751 0.677 -0.993
C4 1.436 -1.512 1.582
C5 1.468 0.658 -0.691
C6 -2.849 -0.125 0.306
N1 -1.450 1.174 -1.171
O1 -0.322 -1.611 -0.587
P1 0.441 -0.646 0.172
I1 -1.241 0.611 1.641
H1 2.608 -0.927 3.382
H2 2.119 0.365 2.227
H3 1.089 -0.293 3.480
H4 1.365 1.340 -2.799
H5 2.525 -0.008 -2.329
H6 0.789 -0.382 -2.404
H7 -3.206 0.095 -1.795
H8 -3.495 1.505 -1.055
H9 0.795 -2.326 1.998
H10 2.327 -2.033 1.110
H11 1.142 1.675 -0.237
H12 2.437 0.563 -0.023
H13 -3.968 -0.019 0.678
H14 -2.369 -1.171 0.249
H15 -1.446 2.012 -1.721
H16 -0.888 0.532 -1.647


A molecular structure, C33H33IrN4O2S4. Source: OMol25; level of theory: ωB97M-V/def2-TZVPD.

Calculated values
Charge: +2
E (Ha): -3343.43839
HOMO-LUMO gap (hartree): 0.26601

Cartesian coordinates (Å):
Ir1 0.152 -0.276 0.382
C1 0.527 2.622 0.825
N1 -0.031 1.695 -0.215
C2 0.788 1.764 -1.463
C3 2.101 1.046 -1.229
C4 3.298 1.455 -1.775
C5 4.444 0.706 -1.519
C6 4.358 -0.410 -0.707
C7 3.128 -0.763 -0.176
N2 2.026 -0.061 -0.455
C8 -1.490 1.909 -0.415
C9 -2.276 1.199 0.667
C10 -3.511 1.623 1.106
C11 -4.201 0.841 2.027
C12 -3.630 -0.333 2.488
C13 -2.377 -0.694 2.023
N3 -1.730 0.056 1.131
C14 0.919 1.906 2.086
C15 1.294 2.580 3.230
C16 1.680 1.849 4.344
C17 1.676 0.465 4.280
C18 1.283 -0.152 3.110
N4 0.915 0.565 2.038
H1 -0.199 3.406 1.045
H2 1.410 3.113 0.412
H3 0.950 2.797 -1.779
H4 0.231 1.250 -2.249
H5 3.341 2.346 -2.387
H6 5.393 1.008 -1.941
H7 5.225 -1.012 -0.477
H8 2.998 -1.618 0.477
H9 -1.748 1.447 -1.367
H10 -1.740 2.970 -0.470
H11 -3.933 2.547 0.734
H12 -5.174 1.154 2.382
H13 -4.138 -0.964 3.203
H14 -1.863 -1.593 2.343
H15 1.288 3.662 3.248
H16 1.983 2.358 5.250
H17 1.970 -0.138 5.127
H18 1.244 -1.224 2.961
C19 -2.189 -0.611 -3.423
S1 -0.907 -1.570 -2.623
C20 -1.707 -3.157 -2.722
O1 -1.026 -1.205 -1.133
H19 -2.337 -1.009 -4.427
H20 -1.861 0.424 -3.505
H21 -3.106 -0.686 -2.839
H22 -1.692 -3.468 -3.767
H23 -2.728 -3.065 -2.352
H24 -1.135 -3.855 -2.115
O2 0.418 -2.098 1.221
C21 0.603 -3.452 0.894
C22 -0.672 -4.192 1.292
C23 -1.939 -3.877 0.892
C24 -2.911 -4.804 1.352
C25 -2.355 -5.807 2.088
S2 -0.665 -5.621 2.239
C26 1.784 -3.924 1.749
C27 1.882 -3.819 3.107
C28 3.111 -4.307 3.622
C29 3.930 -4.773 2.639
S3 3.211 -4.631 1.098
C30 0.903 -3.813 -0.569
C31 1.527 -3.127 -1.570
C32 1.698 -3.880 -2.765
C33 1.199 -5.140 -2.651
S4 0.520 -5.411 -1.109
H25 -2.150 -3.023 0.260
H26 -3.970 -4.734 1.150
H27 -2.853 -6.637 2.564
H28 1.077 -3.453 3.731
H29 3.367 -4.328 4.671
H30 4.909 -5.212 2.741
H31 1.859 -2.108 -1.482
H32 2.177 -3.502 -3.657
H33 1.201 -5.927 -3.388


8 unconnected molecules or ions with the total composition C28H42NO24 at a distorted geometry. Source: OMol25; level of theory: ωB97M-V/def2-TZVPD.

Calculated values
Charge: -1
E (Ha): -2952.29544
HOMO-LUMO gap (hartree): 0.34475

Cartesian coordinates (Å):
N1 0.468 0.370 0.179
O1 1.126 -0.697 0.114
O2 0.552 1.047 1.231
O3 -0.618 0.310 -0.459
C1 -2.579 1.882 1.645
C2 -4.106 1.740 1.286
C3 -4.451 0.874 0.127
O4 -5.178 -0.182 0.723
C4 -5.293 -0.056 1.986
O5 -5.842 -0.785 2.889
O6 -4.718 1.079 2.318
H1 -2.431 2.360 2.652
H2 -1.977 2.374 0.952
H3 -1.981 0.936 1.679
H4 -4.608 2.857 1.272
H5 -3.445 0.385 -0.248
H6 -4.987 1.443 -0.513
C5 -0.060 3.363 3.861
C6 -0.635 2.371 4.756
C7 -0.024 0.968 4.387
O7 0.758 0.610 5.549
C8 0.639 1.458 6.517
O8 1.098 1.349 7.543
O9 -0.159 2.509 6.128
H7 1.072 3.369 3.795
H8 -0.287 4.487 4.150
H9 -0.478 3.463 2.947
H10 -1.800 2.495 4.622
H11 0.731 0.871 3.423
H12 -0.556 0.269 4.008
C9 -0.439 -3.536 -1.210
C10 -1.459 -3.399 -0.089
C11 -2.424 -2.234 -0.349
O10 -3.691 -2.888 -0.211
C12 -3.637 -4.141 -0.173
O11 -4.679 -4.762 -0.117
O12 -2.339 -4.541 -0.005
H13 -0.064 -2.411 -1.437
H14 -0.792 -3.673 -2.307
H15 0.167 -4.457 -0.738
H16 -0.878 -3.329 0.991